Wanted
Search the lines below for the word "maxima" and set down each line that has it.
Excerpt
........
Entry 1:
Structure and theoretical XRD peak list of Lu10Al3Pd (a structure optimized by DFT (GGA-PBE); λ = 1.5418 Å (Cu Kα)).
Peak positions follow from Bragg's law for the DFT cell and can differ from measured ones.

Structural model:
```
Lu10Al3Pd
1.0
9.3703 0.0000 0.0000
-4.6851 8.1149 0.0000
0.0000 0.0000 9.3670
Lu Al Pd
20 6 2
Direct
0.0000 0.0000 0.0000
0.0000 0.0000 0.5000
0.0855 0.5427 0.2500
0.2053 0.4106 0.5552
0.2053 0.4106 0.9448
0.2053 0.7947 0.5552
0.2053 0.7947 0.9448
0.4106 0.2053 0.0552
0.4106 0.2053 0.4448
0.4573 0.5427 0.2500
0.4573 0.9145 0.2500
0.5427 0.0855 0.7500
0.5427 0.4573 0.7500
0.5894 0.7947 0.5552
0.5894 0.7947 0.9448
0.7947 0.2053 0.0552
0.7947 0.2053 0.4448
0.7947 0.5894 0.0552
0.7947 0.5894 0.4448
0.9145 0.4573 0.7500
0.1125 0.2251 0.2500
0.1125 0.8875 0.2500
0.2251 0.1125 0.7500
0.7749 0.8875 0.2500
0.8875 0.1125 0.7500
0.8875 0.7749 0.7500
0.3333 0.6667 0.7500
0.6667 0.3333 0.2500
```

Largest 10 diffraction maxima, in order of rising 2θ, 2θ from 10° to 90°:
Position (°2θ)	Rel. int.
29.1	61
30.7	47
34.5	44
35.0	100
36.3	32
38.4	32
57.6	35
59.2	22
60.1	26
60.4	28

=====

Entry 2:
Structure and theoretical XRD peak list of Ho2AlInFe4 (a structure optimized by DFT (GGA-PBE); λ = 1.5418 Å (Cu Kα)).
Peak positions follow from Bragg's law for the DFT cell and can differ from measured ones.

Structural model:
```
Ho2AlInFe4
1.0
3.9658 0.0000 0.0000
0.0000 4.9715 0.0000
0.0000 0.0000 6.9954
Ho Al In Fe
2 1 1 4
Direct
0.0000 0.0000 0.0000
0.0000 0.5000 0.3966
0.5000 0.0000 0.3671
0.5000 0.5000 0.0475
0.0000 0.0000 0.6009
0.0000 0.5000 0.7793
0.5000 0.2500 0.6908
0.5000 0.7500 0.6908
```

Largest 10 diffraction maxima, in order of rising 2θ, 2θ from 10° to 90°:
Position (°2θ)	Rel. int.
21.9	16
31.6	100
34.2	25
36.1	28
38.6	28
38.8	81
42.8	19
42.9	27
44.7	21
45.8	32

=====
........
Here it is
Largest 10 diffraction maxima, in order of rising 2θ, 2θ from 10° to 90°:
Largest 10 diffraction maxima, in order of rising 2θ, 2θ from 10° to 90°: